

_These materials data were left in the piece by mistake_
'''
# 1
This record from Materials Project describes Al8SiO14 after structural relaxation. The functional is PBE.

The structure in extended XYZ format:
```
46
Lattice="2.966 0.000 0.000 0.000 7.796 0.000 0.000 0.000 23.308" Properties=species:S:1:pos:R:3 pbc="T T T"
Al 0.000 0.135 0.000
Al 0.000 0.665 20.305
Al 0.000 0.702 4.767
Al 0.000 3.321 7.090
Al 0.000 3.644 4.177
Al 0.000 4.152 15.831
Al 0.000 4.474 18.744
Al 0.000 7.093 16.421
Al 0.000 7.131 8.651
Al 0.000 7.661 11.654
Al 1.483 1.908 9.672
Al 1.483 1.919 17.660
Al 1.483 1.931 2.140
Al 1.483 5.864 13.794
Al 1.483 5.876 6.006
Al 1.483 5.888 21.326
Si 0.000 3.050 22.729
Si 0.000 4.746 11.075
O 0.000 1.239 3.055
O 0.000 1.336 18.745
O 0.000 1.408 10.837
O 0.000 1.576 21.951
O 0.000 2.361 5.539
O 0.000 2.522 8.676
O 0.000 2.612 16.649
O 0.000 2.742 1.005
O 0.000 5.054 12.659
O 0.000 5.184 4.995
O 0.000 5.274 20.330
O 0.000 5.434 17.193
O 0.000 6.220 10.297
O 0.000 6.387 22.490
O 0.000 6.459 7.091
O 0.000 6.557 14.709
O 1.483 0.184 16.761
O 1.483 0.227 8.897
O 1.483 0.489 0.848
O 1.483 3.445 3.238
O 1.483 3.553 18.726
O 1.483 3.809 22.330
O 1.483 3.987 10.676
O 1.483 4.242 7.072
O 1.483 4.350 14.892
O 1.483 7.306 12.501
O 1.483 7.568 20.550
O 1.483 7.611 5.108
```

Calculated values
The energy above the most stable polymorph in this dataset is 22.2 meV/atom. Its calculated density is 2.9 g/cm³.

# 2
This record from Materials Project describes Al2Si2O7 after structural relaxation. The functional is PBE.

The structure in extended XYZ format:
```
22
Lattice="3.486 -3.869 0.000 3.486 3.869 0.000 -3.478 0.000 8.834" Properties=species:S:1:pos:R:3 pbc="T T T"
Al -0.438 0.573 4.222
Al -2.177 -0.573 8.638
Al 5.671 0.573 0.195
Al 3.932 -0.573 4.612
Si 1.108 1.922 1.809
Si 4.125 1.922 2.608
Si -0.631 -1.922 6.226
Si 2.386 -1.922 7.025
O 0.392 0.710 0.918
O -0.241 1.788 5.599
O -1.346 -0.710 5.335
O -1.106 0.593 7.882
O 2.616 1.426 2.208
O 0.633 -0.593 3.465
O 1.996 1.788 7.652
O 1.497 -1.788 1.182
O 2.861 0.593 5.369
O 0.877 -1.426 6.625
O 4.600 -0.593 0.952
O 4.840 0.710 3.499
O 3.735 -1.788 3.235
O 3.101 -0.710 7.916
```

Calculated values
For the uncorrected energy, the calculation gives -7.704 eV/atom. Its calculated density is 3.1 g/cm³.

# 3
This record from Materials Project describes AlSi3O8 after structural relaxation. The functional is PBE.

The structure in extended XYZ format:
```
24
Lattice="7.316 0.000 0.000 -3.470 6.895 0.000 -1.888 -3.396 6.742" Properties=species:S:1:pos:R:3 pbc="T T T"
Al 0.991 -0.591 1.892
Al 0.967 4.090 4.850
Si -1.118 1.753 1.059
Si -1.106 1.715 5.681
Si 0.995 -0.537 4.935
Si 0.963 4.036 1.808
Si 3.064 1.784 1.062
Si 3.075 1.745 5.683
O -2.518 5.159 0.558
O -0.449 0.410 1.676
O -2.676 1.645 5.250
O -0.342 3.051 1.678
O 0.981 -1.260 3.499
O -0.352 0.380 5.113
O 2.364 0.483 1.687
O 1.057 -1.619 6.162
O 0.901 5.118 0.580
O -0.406 3.016 5.056
O 2.309 3.119 1.630
O 0.977 4.759 3.243
O 2.300 0.447 5.064
O 4.634 1.854 1.493
O 2.407 3.089 5.067
O 4.476 -1.660 6.184
```
'''

Sunday, May 1, 2011

CHAMBER POTS: A peek behind the bathroom door.

                         Ahh the good old days,
                 well maybe if you were part of the upper class.

    As romantic as the Victorian era may sound, I have a feeling it was pretty rough in the trenches….especially the trenches running through town filled with the byproducts of the Industrial Revolution.

    By the mid-1800s, the consequence of 3 million people crowded into London was flowering, mixing, and foaming merrily along. All sewers led to the Thames, pouring through bulkheads along the shores. (I always thought punting on the Thames sounded so nice, probably not.)

/*
Crystalline ThSi2Os2 at its relaxed geometry. Source: the Materials Project, functional PBE.

Cell and atoms, written as POSCAR:
```
ThSi2Os2
1.0
-2.1168 2.1168 4.9045
2.1168 -2.1168 4.9045
2.1168 2.1168 -4.9045
Si Th Os
2 1 2
direct
0.3696 0.3696 0.0000 Si
0.6304 0.6304 0.0000 Si
0.0000 0.0000 0.0000 Th
0.7500 0.2500 0.5000 Os
0.2500 0.7500 0.5000 Os
```

Its space group is I4/mmm (139). The crystal system is tetragonal. For the formation energy, the calculation gives -375 kJ/mol of formula units. The energy comes out at -44.607 eV/cell.



Crystalline NaSmGeO4 at its relaxed geometry. Source: the Materials Project, functional PBE.

Cell and atoms, written as POSCAR:
```
NaSmGeO4
1.0
-2.9855 -4.4347 0.4224
3.4764 -2.8102 -4.9322
7.5763 -4.3555 7.8217
O Sm Ge Na
16 4 4 4
direct
0.8191 0.2500 0.0442 O
0.7653 0.7500 0.6087 O
0.2909 0.9544 0.6708 O
0.7909 0.0456 0.8292 O
0.7347 0.7500 0.1087 O
0.3191 0.7500 0.4558 O
0.7091 0.4544 0.3292 O
0.1809 0.7500 0.9558 O
0.2909 0.5456 0.6708 O
0.2091 0.5456 0.1708 O
0.6809 0.2500 0.5442 O
0.2091 0.9544 0.1708 O
0.7909 0.4544 0.8292 O
0.2653 0.2500 0.8913 O
0.2347 0.2500 0.3913 O
0.7091 0.0456 0.3292 O
0.9999 0.7500 0.7788 Sm
0.0001 0.2500 0.2212 Sm
0.5001 0.7500 0.2788 Sm
0.4999 0.2500 0.7212 Sm
0.4407 0.7500 0.5955 Ge
0.5593 0.2500 0.4045 Ge
0.9407 0.2500 0.9045 Ge
0.0593 0.7500 0.0955 Ge
0.5000 0.0000 0.0000 Na
0.0000 0.5000 0.5000 Na
0.5000 0.5000 0.0000 Na
0.0000 0.0000 0.5000 Na
```

Its space group is Pnma (62). The crystal system is orthorhombic. For the formation energy, the calculation gives -1913 kJ/mol of formula units. The energy comes out at -190.145 eV/cell.



Crystalline Al3GaN4 at its relaxed geometry. Source: the Materials Project, functional PBE.

Cell and atoms, written as POSCAR:
```
Al3GaN4
1.0
3.1486 0.0000 0.0000
0.0000 5.0777 0.0000
0.0000 0.0032 5.4516
Al N Ga
3 4 1
direct
0.5000 0.4998 0.8327 Al
0.5000 0.0009 0.1649 Al
0.0000 0.0007 0.6686 Al
0.5000 0.6259 0.1589 N
0.0000 0.6233 0.6746 N
0.5000 0.1226 0.8328 N
0.0000 0.1105 0.3338 N
0.0000 0.4999 0.3337 Ga
```

Its space group is Pm (6). The crystal system is monoclinic. For the formation energy, the calculation gives -1040 kJ/mol of formula units. The energy comes out at -56.946 eV/cell.



Crystalline SrLaMgTaO6 at its relaxed geometry. Source: the Materials Project, functional PBE.

Cell and atoms, written as POSCAR:
```
SrLaMgTaO6
1.0
-5.5845 0.2543 1.1813
-1.0890 -3.4048 -4.4150
-0.3723 -9.8279 0.3557
Ta O Sr Mg La
2 12 2 2 2
direct
0.7479 0.5007 0.4990 Ta
0.2521 0.5007 0.9990 Ta
0.5298 0.3393 0.9544 O
0.0140 0.6793 0.5440 O
0.2644 0.1655 0.2424 O
0.7356 0.1655 0.7424 O
0.2288 0.8122 0.7575 O
0.9860 0.6793 0.0440 O
0.4702 0.3393 0.4544 O
0.9734 0.2749 0.4615 O
0.7712 0.8122 0.2575 O
0.0266 0.2749 0.9615 O
0.4601 0.7323 0.0451 O
0.5399 0.7323 0.5451 O
0.7273 0.2562 0.2494 Sr
0.2727 0.2562 0.7494 Sr
0.2525 0.9993 0.4998 Mg
0.7475 0.9993 0.9998 Mg
0.7844 0.7403 0.7470 La
0.2156 0.7403 0.2470 La
```
*/
-- The article goes on --

    The abominable odors of the Fleet river, complained the monks of the White Friars, "have overcome the frankincense burnt at the altar". They claimed the fumes caused the deaths of several brethren. And for a number of sultry days in 1859, the Thames seethed, seeped, and nearly boiled under the burning sun of an unusually hot season. Parliament was suspended as window blinds saturated with lime chloride and other disinfectants failed to subdue the odor and revulsion. It was so revolting that one foreign newspaper bannered twin headlines to catch the calamities of the day: "India Is In Revolt, and The Thames Stinks."
   The cess-pit which existed in London for many centuries, from medieval times onwards was a chamber in which sewage from each individual house was 'stored' until it was emptied. This dubious task was assigned to the 'night-soil men'. And nothing was sacred not even privy privacy. Saltpetre men extracted nitrates from excrement, so it could be used to make gunpowder. Saltpetre men also had a license from the king to enter into anyone's house at any time and remove the sewage-ridden earth from the cess-pit.

    By 1858, George Jennings had popularized public lavatories. He first introduced the novelties by installing them in the Crystal Palace for the Great Exhibition of 1851; over 827,000 people paid to use the "necessary convenience."
     Still the chamber pot, our topic of today, remained in demand for many years due to the fact that converting one’s home was expensive and on occasion not logistically sound. Chamber pots are known by a variety of names including: •Po •Pot •Pot de chambre •John •Jordan •Potty •Thunder pot •Thunder mug •Bourdalous
      The chamber pots of the working class were usually made of copper, although later ones might be of crockery. The chamber pots for the rich and royalty were solid silver, the kings' very ornate and pretentious. James I had a portable "potty," which he used for traveling. During the 1500s, poor families would urinate in a pot and at the end of the day this urine would be sold at the local tannery to tan animal hides. Some families were so poor they "didn't have a pot to piss in" thus the term.
      Going even further back in history, injuries caused by the far-flung contents of the chamber pots, or "missiles of mirth" as one ancient Greek dramatist called them, persisted through the ages. Early Roman law included the Dejecti Effusive Act, which fined a person who threw or poured anything out of an open window and hit someone. The law awarded damages to the injured party. Strangely, the statute applied only during daytime hours. King Richard II followed suit with his writ of Statuto quo nut ject dung "A writ that no one is to dump dung."

      Proper manners would prescribe warning unwary pedestrians that a shower was on its way. Thus the cry of "Garden l'eau" (pronounced Gardy-loo, and meaning "Watch out for the water!") would echo up and down the streets. Over time it evolved into English slang for the toilet or loo.

        If you were a family of means, you had a chamber maid to empty the chamber pot. With some variation, the hierarchy of maids in large households ran thusly. Housekeeper, Lady’s Maid, House Maids divided into Parlour Maid, Chamber Maid, Laundry Maid, and servants.

  The Chamber Maid was responsible for taking care of the 'chambers' in the home. Normally this meant the bedrooms and dressing rooms. They would make the beds, dust, clean up the clothes and floors. They would also take care of the 'facilities' such as chamber pots or bathrooms.

      There are still occasions when chamber pots seem practical, envision a two story house with only a main floor bathroom, primitive camping trips and long car rides.
       Anyway, the next time you use your lovely nice smelling facility gleaming with porcelain, chrome, and travertine tile, do offer a moment of gratitude for the advancements we’ve made.

=====
No. 1
40
Lattice="9.3862 0.0000 0.0000 0.0000 9.7450 0.0000 0.0000 0.0000 7.7877" Properties=species:S:1:pos:R:3 comment="K2Na3TlO4 | Materials Project | GGA-PBE | optimized geometry" sg="No. 58" delta_e_f_ev_per_atom=-1.46 pbc="T T T"
K 0.0000 0.0000 1.9218
K 0.0000 0.0000 5.8659
K 2.2153 2.4379 3.8938
K 2.4778 7.3104 0.0000
K 4.6931 4.8725 1.9721
K 4.6931 4.8725 5.8156
K 6.9085 2.4346 0.0000
K 7.1709 7.3070 3.8938
Na 0.1566 6.3422 1.9439
Na 0.1566 6.3422 5.8437
Na 2.2550 5.7002 3.8938
Na 2.4381 0.8277 0.0000
Na 4.5365 1.4697 1.9499
Na 4.5365 1.4697 5.8378
Na 4.8497 8.2753 1.9499
Na 4.8497 8.2753 5.8378
Na 6.9481 8.9173 0.0000
Na 7.1312 4.0448 3.8938
Na 9.2296 3.4028 1.9439
Na 9.2296 3.4028 5.8437
Tl 2.1336 3.6926 0.0000
Tl 2.5595 8.5651 3.8938
Tl 6.8267 1.1799 3.8938
Tl 7.2526 6.0524 0.0000
O 0.4533 2.1666 0.0000
O 0.5737 7.5659 3.8938
O 1.8622 4.7182 1.9089
O 1.8622 4.7182 5.8788
O 2.8310 9.5907 1.9850
O 2.8310 9.5907 5.8027
O 4.1194 2.6934 0.0000
O 4.2398 7.0391 3.8938
O 5.1464 2.7059 3.8938
O 5.2668 7.0516 0.0000
O 6.5553 0.1543 1.9850
O 6.5553 0.1543 5.8027
O 7.5241 5.0268 1.9089
O 7.5241 5.0268 5.8788
O 8.8125 2.1791 3.8938
O 8.9329 7.5784 0.0000


No. 2
26
Lattice="7.2565 -3.4692 0.0000 7.2565 3.4692 0.0000 -6.1818 0.0000 8.1746" Properties=species:S:1:pos:R:3 comment="YP3O9 | Materials Project | GGA-PBE | optimized geometry" sg="No. 9" delta_e_f_ev_per_atom=-3.01 de_polymorph_mev_per_atom=10 e_ij_max_c_m2=0.7 pbc="T T T"
Y 4.1656 1.7714 4.0873
Y 7.2565 -1.7714 0.0000
P -2.9229 0.7205 6.8442
P 0.9652 0.7170 5.4346
P 0.1680 -0.7205 2.7569
P 4.0561 -0.7170 1.3473
P 9.3592 0.5396 1.9733
P 6.2683 -0.5396 6.0606
O 0.5337 0.1400 1.5853
O -2.5572 -0.1400 5.6726
O 5.9817 2.3834 2.9222
O 3.8271 0.0971 0.0117
O 2.3482 1.2996 5.3607
O 0.7362 -0.0971 4.0990
O 3.7121 0.1260 2.5405
O 0.6212 -0.1260 6.6278
O 8.2966 1.4036 2.7918
O 10.2125 1.5944 1.1229
O 5.5220 0.3005 5.0746
O 5.4391 -1.2996 1.2734
O 8.6129 -0.3005 0.9873
O 7.1445 0.1498 7.0607
O 10.2354 -0.1498 2.9734
O 2.8908 -2.3834 7.0095
O 5.2057 -1.4036 6.8791
O 7.1216 -1.5944 5.2102
=====
The entry goes on:

     For which modern day convenience or invention are you most thankful?



  1. YEEEWWWW!!! This is a subject we rarely think about, so used are we to our gorgeous bathrooms with granite countertops, slate floors, heated towelracks, hot running water and facilities to flush away all objectionable waste. Although my grandparents had modern facilities in their home, I remember the chamberpot under their bed. I have never stopped to consider the odors that arose from millions of people living in the confinement of a city. In this regard, we have 'come a long way, baby'.

  2. Very interesting post! We who read and write historical romance tend to shy away from the gory details. But I've camped many times and a chamber pot, or porta potty, as we call them now, saves having to traverse through the dark woods to the modern bathhouse in the middle of the night--or in the case of primitive camping--the dreaded outhouse. LOL.

  3. Yeesh. Didn't the moneyed Londoners do the country during summer? If I am remembering right, that explains it.

  4. Wow what a interesting blog. I write historicals so I do have a very basic knowledge of chamber pots. I had an aunt who worked for a wealthy family in the 1920's and one of her duties was emptying and cleaning the chamber pot. She told us, that they were used at night time,and we only supposed to be for urine (you had to go to the toilet for more solid material) but many "guests" ignored the unwritten law, and my aunt said it was revolting having to clean up after them, but of course she had to do it or would have been dismissed from her position. Yuk


  5. Very informative and interesting. I returned recently from China and I was surprised to find chamber pots still in use in, of all cities, Shanghai. You can find photos and my comments on my blog.

  6. Yikes...and i wonder what they used to clean themselves? (Horrible images come to mind..)

  7. I was saying to a friend just recently how thankful I am for indoor plumbing, an ingenious invention!
